Activity:
Please echo everything below exactly.

Contents:
This entry pairs a crystal structure of Ba2NaAs3Pd4 with its calculated PXRD pattern. Radiation: Cu Kα, 1.54184 Å. Structure: a crystal structure in Alexandria, relaxed with GGA-PBE.
No peak broadening, texture or thermal motion is included.

Principal peaks in the range 10° ≤ 2θ ≤ 90°, in order of rising 2θ:
2θ/deg	I (rel.)
27.74	20
32.09	66
32.57	100
39.64	70
44.30	19
47.32	29
51.88	33
57.31	23
63.39	24
67.49	24

Structure:
```
data_Ba2NaAs3Pd4
_cell_length_a 4.547
_cell_length_b 4.547
_cell_length_c 10.597
_cell_angle_alpha 90.00
_cell_angle_beta 90.00
_cell_angle_gamma 90.00
_space_group_name_H-M_alt 'P -4 m 2'
_space_group_IT_number 115
loop_
_space_group_symop_operation_xyz
'x,y,z'
'y,-x,-z'
'-x,-y,z'
'-y,x,-z'
'-x,y,z'
'-y,-x,-z'
'x,-y,z'
'y,x,-z'
loop_
_atom_site_label
_atom_site_fract_x
_atom_site_fract_y
_atom_site_fract_z
Ba1 0.000 0.500 0.246
Na1 0.000 0.000 0.500
As1 0.000 0.500 0.878
As2 0.500 0.500 0.500
Pd1 0.000 0.000 0.000
Pd2 0.000 0.500 0.639
Pd3 0.500 0.500 0.000
```

=====

[1]
Theoretical XRD peak list
Compound: CaScTl
Radiation: λ = 1.5418 Å (Cu Kα)
Structure: the GGA-PBE geometry in Alexandria
Neutral-atom scattering factors, no anomalous dispersion.

Crystal structure
```
CaScTl
1.0
5.257 0.000 0.000
0.000 3.767 0.000
-2.592 0.000 8.309
Ca Sc Tl
2 2 2
Cartesian
0.022 0.000 2.957
2.643 0.000 5.352
0.000 1.884 0.000
2.629 0.000 0.000
0.018 1.884 5.971
2.647 1.884 2.338
```

Principal peaks in the range 2θ from 10° to 90°, in order of falling intensity:
two_theta, Rel. int.
33.44, 100
17.69, 39
34.11, 28
32.07, 24
21.39, 24
23.62, 21
29.67, 20
60.51, 19

[2]
Theoretical XRD peak list
Compound: SrCdAg2Ge
Radiation: λ = 1.5418 Å (Cu Kα)
Structure: the GGA-PBE geometry in Alexandria
Neutral-atom scattering factors, no anomalous dispersion.

Crystal structure
```
SrCdAg2Ge
1.0
-2.266 2.305 5.725
2.266 -2.305 5.725
2.266 2.305 -5.725
Sr Cd Ag Ge
1 1 2 1
Cartesian
0.000 0.000 0.000
2.266 0.000 2.908
0.000 0.000 7.014
0.000 2.305 3.092
0.000 0.000 4.447
```

Principal peaks in the range 2θ from 10° to 90°, in order of falling intensity:
two_theta, Rel. int.
31.80, 100
42.18, 37
39.08, 29
39.79, 28
30.63, 22
57.00, 19
44.16, 16
15.48, 13

=====

# 1
The following is a theoretical XRD peak list of Hf4Ni3Pd. It was derived from the GGA-PBE geometry in Alexandria, using a wavelength of 1.5418 Å.

```
data_Hf4Ni3Pd
_chemical_formula_sum 'Hf4 Ni3 Pd1'
_symmetry_space_group_name_H-M 'P m m 2'
_symmetry_Int_Tables_number 25
_cell_length_a 3.2744
_cell_length_b 4.1639
_cell_length_c 9.9549
_cell_angle_alpha 90.00
_cell_angle_beta 90.00
_cell_angle_gamma 90.00
loop_
_symmetry_equiv_pos_as_xyz
'x,y,z'
'-x,-y,z'
'-x,y,z'
'x,-y,z'
loop_
_atom_site_label
_atom_site_type_symbol
_atom_site_fract_x
_atom_site_fract_y
_atom_site_fract_z
Hf1 Hf 0.0000 0.0000 0.0000
Hf2 Hf 0.0000 0.5000 0.2699
Hf3 Hf 0.5000 0.0000 0.4814
Hf4 Hf 0.5000 0.5000 0.7772
Ni1 Ni 0.0000 0.5000 0.5386
Ni2 Ni 0.5000 0.0000 0.2139
Ni3 Ni 0.5000 0.5000 0.0491
Pd1 Pd 0.0000 0.0000 0.7151
```

Largest 10 diffraction maxima, low angle first, 5 to 70 degrees two-theta:
| 2theta | I_rel | index |
| --- | --- | --- |
| 27.94 | 26 | 0 1 2 |
| 36.05 | 100 | 0 0 4 |
| 38.63 | 24 | 1 0 3 |
| 42.31 | 14 | 0 1 4 |
| 43.47 | 23 | 0 2 0 |
| 44.55 | 33 | 1 1 3 |
| 56.18 | 11 | 2 0 0 |
| 57.73 | 13 | 0 2 4 |
| 58.62 | 11 | 1 1 5 |
| 59.54 | 14 | 1 2 3 |

# 2
The following is a theoretical XRD peak list of K2CaHg. It was derived from the GGA-PBE geometry in Alexandria, using a wavelength of 1.5418 Å.

```
data_K2CaHg
_chemical_formula_sum 'K2 Ca1 Hg1'
_symmetry_space_group_name_H-M 'P 1 m 1'
_symmetry_Int_Tables_number 6
_cell_length_a 4.1353
_cell_length_b 4.1319
_cell_length_c 10.7361
_cell_angle_alpha 90.00
_cell_angle_beta 90.37
_cell_angle_gamma 90.00
loop_
_symmetry_equiv_pos_as_xyz
'x,y,z'
'x,-y,z'
loop_
_atom_site_label
_atom_site_type_symbol
_atom_site_fract_x
_atom_site_fract_y
_atom_site_fract_z
K1 K 0.0000 0.0000 0.0000
K2 K 0.4932 0.5000 0.3557

Response:
This entry pairs a crystal structure of Ba2NaAs3Pd4 with its calculated PXRD pattern. Radiation: Cu Kα, 1.54184 Å. Structure: a crystal structure in Alexandria, relaxed with GGA-PBE.
No peak broadening, texture or thermal motion is included.

Principal peaks in the range 10° ≤ 2θ ≤ 90°, in order of rising 2θ:
2θ/deg	I (rel.)
27.74	20
32.09	66
32.57	100
39.64	70
44.30	19
47.32	29
51.88	33
57.31	23
63.39	24
67.49	24

Structure:
```
data_Ba2NaAs3Pd4
_cell_length_a 4.547
_cell_length_b 4.547
_cell_length_c 10.597
_cell_angle_alpha 90.00
_cell_angle_beta 90.00
_cell_angle_gamma 90.00
_space_group_name_H-M_alt 'P -4 m 2'
_space_group_IT_number 115
loop_
_space_group_symop_operation_xyz
'x,y,z'
'y,-x,-z'
'-x,-y,z'
'-y,x,-z'
'-x,y,z'
'-y,-x,-z'
'x,-y,z'
'y,x,-z'
loop_
_atom_site_label
_atom_site_fract_x
_atom_site_fract_y
_atom_site_fract_z
Ba1 0.000 0.500 0.246
Na1 0.000 0.000 0.500
As1 0.000 0.500 0.878
As2 0.500 0.500 0.500
Pd1 0.000 0.000 0.000
Pd2 0.000 0.500 0.639
Pd3 0.500 0.500 0.000
```

=====

[1]
Theoretical XRD peak list
Compound: CaScTl
Radiation: λ = 1.5418 Å (Cu Kα)
Structure: the GGA-PBE geometry in Alexandria
Neutral-atom scattering factors, no anomalous dispersion.

Crystal structure
```
CaScTl
1.0
5.257 0.000 0.000
0.000 3.767 0.000
-2.592 0.000 8.309
Ca Sc Tl
2 2 2
Cartesian
0.022 0.000 2.957
2.643 0.000 5.352
0.000 1.884 0.000
2.629 0.000 0.000
0.018 1.884 5.971
2.647 1.884 2.338
```

Principal peaks in the range 2θ from 10° to 90°, in order of falling intensity:
two_theta, Rel. int.
33.44, 100
17.69, 39
34.11, 28
32.07, 24
21.39, 24
23.62, 21
29.67, 20
60.51, 19

[2]
Theoretical XRD peak list
Compound: SrCdAg2Ge
Radiation: λ = 1.5418 Å (Cu Kα)
Structure: the GGA-PBE geometry in Alexandria
Neutral-atom scattering factors, no anomalous dispersion.

Crystal structure
```
SrCdAg2Ge
1.0
-2.266 2.305 5.725
2.266 -2.305 5.725
2.266 2.305 -5.725
Sr Cd Ag Ge
1 1 2 1
Cartesian
0.000 0.000 0.000
2.266 0.000 2.908
0.000 0.000 7.014
0.000 2.305 3.092
0.000 0.000 4.447
```

Principal peaks in the range 2θ from 10° to 90°, in order of falling intensity:
two_theta, Rel. int.
31.80, 100
42.18, 37
39.08, 29
39.79, 28
30.63, 22
57.00, 19
44.16, 16
15.48, 13

=====

# 1
The following is a theoretical XRD peak list of Hf4Ni3Pd. It was derived from the GGA-PBE geometry in Alexandria, using a wavelength of 1.5418 Å.

```
data_Hf4Ni3Pd
_chemical_formula_sum 'Hf4 Ni3 Pd1'
_symmetry_space_group_name_H-M 'P m m 2'
_symmetry_Int_Tables_number 25
_cell_length_a 3.2744
_cell_length_b 4.1639
_cell_length_c 9.9549
_cell_angle_alpha 90.00
_cell_angle_beta 90.00
_cell_angle_gamma 90.00
loop_
_symmetry_equiv_pos_as_xyz
'x,y,z'
'-x,-y,z'
'-x,y,z'
'x,-y,z'
loop_
_atom_site_label
_atom_site_type_symbol
_atom_site_fract_x
_atom_site_fract_y
_atom_site_fract_z
Hf1 Hf 0.0000 0.0000 0.0000
Hf2 Hf 0.0000 0.5000 0.2699
Hf3 Hf 0.5000 0.0000 0.4814
Hf4 Hf 0.5000 0.5000 0.7772
Ni1 Ni 0.0000 0.5000 0.5386
Ni2 Ni 0.5000 0.0000 0.2139
Ni3 Ni 0.5000 0.5000 0.0491
Pd1 Pd 0.0000 0.0000 0.7151
```

Largest 10 diffraction maxima, low angle first, 5 to 70 degrees two-theta:
| 2theta | I_rel | index |
| --- | --- | --- |
| 27.94 | 26 | 0 1 2 |
| 36.05 | 100 | 0 0 4 |
| 38.63 | 24 | 1 0 3 |
| 42.31 | 14 | 0 1 4 |
| 43.47 | 23 | 0 2 0 |
| 44.55 | 33 | 1 1 3 |
| 56.18 | 11 | 2 0 0 |
| 57.73 | 13 | 0 2 4 |
| 58.62 | 11 | 1 1 5 |
| 59.54 | 14 | 1 2 3 |

# 2
The following is a theoretical XRD peak list of K2CaHg. It was derived from the GGA-PBE geometry in Alexandria, using a wavelength of 1.5418 Å.

```
data_K2CaHg
_chemical_formula_sum 'K2 Ca1 Hg1'
_symmetry_space_group_name_H-M 'P 1 m 1'
_symmetry_Int_Tables_number 6
_cell_length_a 4.1353
_cell_length_b 4.1319
_cell_length_c 10.7361
_cell_angle_alpha 90.00
_cell_angle_beta 90.37
_cell_angle_gamma 90.00
loop_
_symmetry_equiv_pos_as_xyz
'x,y,z'
'x,-y,z'
loop_
_atom_site_label
_atom_site_type_symbol
_atom_site_fract_x
_atom_site_fract_y
_atom_site_fract_z
K1 K 0.0000 0.0000 0.0000
K2 K 0.4932 0.5000 0.3557